**Assignment:**
Give back everything further below with every line break kept.

**Excerpt:**
=====
# PBE MgCu, relaxed
data_MgCu
_cell_length_a 3.2367
_cell_length_b 4.3627
_cell_length_c 8.9397
_cell_angle_alpha 90.00
_cell_angle_beta 90.00
_cell_angle_gamma 90.00
_symmetry_space_group_name_H-M 'I m m a'
_symmetry_Int_Tables_number 74
_symmetry_space_group_name_Hall '-I 2b 2'
loop_
_atom_site_label
_atom_site_fract_x
_atom_site_fract_y
_atom_site_fract_z
Mg1 0.0000 0.2500 0.1103
Cu1 0.0000 0.2500 0.6436
# ΔH_f (0 K): -74 meV per atom
# volume: 15.780 A^3/atom
# ρ: 4.62 Mg/m³

=====

# PBE MgCu, relaxed
data_MgCu
_cell_length_a 2.9922
_cell_length_b 4.2490
_cell_length_c 5.2858
_cell_angle_alpha 90.00
_cell_angle_beta 105.43
_cell_angle_gamma 90.00
_symmetry_space_group_name_H-M 'P 1 21/m 1'
_symmetry_Int_Tables_number 11
loop_
_symmetry_equiv_pos_as_xyz
'x,y,z'
'-x,-y,-z'
'-x,y+1/2,-z'
'x,-y+1/2,z'
loop_
_atom_site_label
_atom_site_fract_x
_atom_site_fract_y
_atom_site_fract_z
Mg1 0.1525 0.2500 0.3161
Cu1 0.4382 0.2500 0.8645
# ΔH_f (0 K): -76 meV per atom
# volume: 16.195 A^3/atom
# ρ: 4.50 Mg/m³

=====

# PBE Mg3Cu2, relaxed
data_Mg3Cu2
_cell_length_a 4.4384
_cell_length_b 4.4384
_cell_length_c 5.3942
_cell_angle_alpha 90.00
_cell_angle_beta 90.00
_cell_angle_gamma 120.00
_symmetry_space_group_name_H-M 'P -3 m 1'
_symmetry_Int_Tables_number 164
_symmetry_space_group_name_Hall '-P 3 2"'
loop_
_atom_site_label
_atom_site_fract_x
_atom_site_fract_y
_atom_site_fract_z
Mg1 0.0000 0.0000 0.0000
Mg2 0.3333 0.6667 0.3520
Cu1 0.3333 0.6667 0.8648
# ΔH_f (0 K): -46 meV per atom
# volume: 18.405 A^3/atom
# ΔE to the lowest computed polymorph: 0.036 eV per atom
# ρ: 3.61 Mg/m³

=====

# PBE Mg4Cu3, relaxed
data_Mg4Cu3
_cell_length_a 3.1500
_cell_length_b 3.1500
_cell_length_c 23.9866
_cell_angle_alpha 90.00
_cell_angle_beta 90.00
_cell_angle_gamma 90.00
_symmetry_space_group_name_H-M 'I 4/m m m'
_symmetry_Int_Tables_number 139
_symmetry_space_group_name_Hall '-I 4 2'
loop_
_atom_site_label
_atom_site_fract_x
_atom_site_fract_y
_atom_site_fract_z
Mg1 0.0000 0.0000 0.0652
Mg2 0.0000 0.0000 0.3405
Cu1 0.0000 0.0000 0.2248
Cu2 0.0000 0.0000 0.5000
# ΔH_f (0 K): -61 meV per atom
# volume: 17.001 A^3/atom
# ΔE to the lowest computed polymorph: 0.004 eV per atom
# ρ: 4.02 Mg/m³

=====

# PBE Mg2Cu, relaxed
data_Mg2Cu
_cell_length_a 3.9974
_cell_length_b 3.9974
_cell_length_c 7.1012
_cell_angle_alpha 90.00
_cell_angle_beta 90.00
_cell_angle_gamma 90.00
_symmetry_space_group_name_H-M 'P 4/n m m'
_symmetry_Int_Tables_number 129
loop_
_symmetry_equiv_pos_as_xyz
'x,y,z'
'-x,-y,-z'
'-y+1/2,x,z'
'y+1/2,-x,-z'
'-x+1/2,-y+1/2,z'
'x+1/2,y+1/2,-z'
'y,-x+1/2,z'
'-y,x+1/2,-z'
'x+1/2,-y,-z'
'-x+1/2,y,z'
'-y,-x,-z'
'y,x,z'
'-x,y+1/2,-z'
'x,-y+1/2,z'
'y+1/2,x+1/2,-z'
'-y+1/2,-x+1/2,z'
loop_
_atom_site_label
_atom_site_fract_x
_atom_site_fract_y
_atom_site_fract_z
Mg1 0.2500 0.2500 0.1370
Mg2 0.2500 0.7500 0.5000
Cu1 0.2500 0.2500 0.7580
# ΔH_f (0 K): 23 meV per atom
# volume: 18.912 A^3/atom
# ρ: 3.28 Mg/m³

=====

# PBE MgCu, relaxed
data_MgCu
_cell_length_a 2.9473
_cell_length_b 8.2979
_cell_length_c 8.5789
_cell_angle_alpha 90.00
_cell_angle_beta 90.00
_cell_angle_gamma 90.00
_symmetry_space_group_name_H-M 'A m m 2'
_symmetry_Int_Tables_number 38
loop_
_symmetry_equiv_pos_as_xyz
'x,y,z'
'-x,-y,z'
'-x,y,z'
'x,-y,z'
'x,y+1/2,z+1/2'
'-x,-y+1/2,z+1/2'
'-x,y+1/2,z+1/2'
'x,-y+1/2,z+1/2'
loop_
_atom_site_label
_atom_site_fract_x
_atom_site_fract_y
_atom_site_fract_z
Mg1 0.0000 0.0000 0.0000
Mg2 0.0000 0.1864 0.3259
Cu1 0.0000 0.0000 0.6283
Cu2 0.5000 0.2361 0.5798
# ΔH_f (0 K): 89 meV per atom
# volume: 17.484 A^3/atom
# ρ: 4.17 Mg/m³

----------

# 1
This record from Alexandria describes crystalline Er2ScPt9 at its relaxed geometry. The functional is PBE.

Unit cell a=4.071 b=4.071 c=12.204 alpha=90.00 beta=90.00 gamma=90.00
Positions (direct):
Er (0.000, 0.000, 0.169)
Er (0.000, 0.000, 0.831)
Sc (0.000, 0.000, 0.500)
Pt (0.000, 0.500, 0.000)
Pt (0.000, 0.500, 0.340)
Pt (0.000, 0.500, 0.660)
Pt (0.500, 0.000, 0.000)
Pt (0.500, 0.000, 0.340)
=====

**Done:**
# PBE MgCu, relaxed
data_MgCu
_cell_length_a 3.2367
_cell_length_b 4.3627
_cell_length_c 8.9397
_cell_angle_alpha 90.00
_cell_angle_beta 90.00
_cell_angle_gamma 90.00
_symmetry_space_group_name_H-M 'I m m a'
_symmetry_Int_Tables_number 74
_symmetry_space_group_name_Hall '-I 2b 2'
loop_
_atom_site_label
_atom_site_fract_x
_atom_site_fract_y
_atom_site_fract_z
Mg1 0.0000 0.2500 0.1103
Cu1 0.0000 0.2500 0.6436
# ΔH_f (0 K): -74 meV per atom
# volume: 15.780 A^3/atom
# ρ: 4.62 Mg/m³

=====

# PBE MgCu, relaxed
data_MgCu
_cell_length_a 2.9922
_cell_length_b 4.2490
_cell_length_c 5.2858
_cell_angle_alpha 90.00
_cell_angle_beta 105.43
_cell_angle_gamma 90.00
_symmetry_space_group_name_H-M 'P 1 21/m 1'
_symmetry_Int_Tables_number 11
loop_
_symmetry_equiv_pos_as_xyz
'x,y,z'
'-x,-y,-z'
'-x,y+1/2,-z'
'x,-y+1/2,z'
loop_
_atom_site_label
_atom_site_fract_x
_atom_site_fract_y
_atom_site_fract_z
Mg1 0.1525 0.2500 0.3161
Cu1 0.4382 0.2500 0.8645
# ΔH_f (0 K): -76 meV per atom
# volume: 16.195 A^3/atom
# ρ: 4.50 Mg/m³

=====

# PBE Mg3Cu2, relaxed
data_Mg3Cu2
_cell_length_a 4.4384
_cell_length_b 4.4384
_cell_length_c 5.3942
_cell_angle_alpha 90.00
_cell_angle_beta 90.00
_cell_angle_gamma 120.00
_symmetry_space_group_name_H-M 'P -3 m 1'
_symmetry_Int_Tables_number 164
_symmetry_space_group_name_Hall '-P 3 2"'
loop_
_atom_site_label
_atom_site_fract_x
_atom_site_fract_y
_atom_site_fract_z
Mg1 0.0000 0.0000 0.0000
Mg2 0.3333 0.6667 0.3520
Cu1 0.3333 0.6667 0.8648
# ΔH_f (0 K): -46 meV per atom
# volume: 18.405 A^3/atom
# ΔE to the lowest computed polymorph: 0.036 eV per atom
# ρ: 3.61 Mg/m³

=====

# PBE Mg4Cu3, relaxed
data_Mg4Cu3
_cell_length_a 3.1500
_cell_length_b 3.1500
_cell_length_c 23.9866
_cell_angle_alpha 90.00
_cell_angle_beta 90.00
_cell_angle_gamma 90.00
_symmetry_space_group_name_H-M 'I 4/m m m'
_symmetry_Int_Tables_number 139
_symmetry_space_group_name_Hall '-I 4 2'
loop_
_atom_site_label
_atom_site_fract_x
_atom_site_fract_y
_atom_site_fract_z
Mg1 0.0000 0.0000 0.0652
Mg2 0.0000 0.0000 0.3405
Cu1 0.0000 0.0000 0.2248
Cu2 0.0000 0.0000 0.5000
# ΔH_f (0 K): -61 meV per atom
# volume: 17.001 A^3/atom
# ΔE to the lowest computed polymorph: 0.004 eV per atom
# ρ: 4.02 Mg/m³

=====

# PBE Mg2Cu, relaxed
data_Mg2Cu
_cell_length_a 3.9974
_cell_length_b 3.9974
_cell_length_c 7.1012
_cell_angle_alpha 90.00
_cell_angle_beta 90.00
_cell_angle_gamma 90.00
_symmetry_space_group_name_H-M 'P 4/n m m'
_symmetry_Int_Tables_number 129
loop_
_symmetry_equiv_pos_as_xyz
'x,y,z'
'-x,-y,-z'
'-y+1/2,x,z'
'y+1/2,-x,-z'
'-x+1/2,-y+1/2,z'
'x+1/2,y+1/2,-z'
'y,-x+1/2,z'
'-y,x+1/2,-z'
'x+1/2,-y,-z'
'-x+1/2,y,z'
'-y,-x,-z'
'y,x,z'
'-x,y+1/2,-z'
'x,-y+1/2,z'
'y+1/2,x+1/2,-z'
'-y+1/2,-x+1/2,z'
loop_
_atom_site_label
_atom_site_fract_x
_atom_site_fract_y
_atom_site_fract_z
Mg1 0.2500 0.2500 0.1370
Mg2 0.2500 0.7500 0.5000
Cu1 0.2500 0.2500 0.7580
# ΔH_f (0 K): 23 meV per atom
# volume: 18.912 A^3/atom
# ρ: 3.28 Mg/m³

=====

# PBE MgCu, relaxed
data_MgCu
_cell_length_a 2.9473
_cell_length_b 8.2979
_cell_length_c 8.5789
_cell_angle_alpha 90.00
_cell_angle_beta 90.00
_cell_angle_gamma 90.00
_symmetry_space_group_name_H-M 'A m m 2'
_symmetry_Int_Tables_number 38
loop_
_symmetry_equiv_pos_as_xyz
'x,y,z'
'-x,-y,z'
'-x,y,z'
'x,-y,z'
'x,y+1/2,z+1/2'
'-x,-y+1/2,z+1/2'
'-x,y+1/2,z+1/2'
'x,-y+1/2,z+1/2'
loop_
_atom_site_label
_atom_site_fract_x
_atom_site_fract_y
_atom_site_fract_z
Mg1 0.0000 0.0000 0.0000
Mg2 0.0000 0.1864 0.3259
Cu1 0.0000 0.0000 0.6283
Cu2 0.5000 0.2361 0.5798
# ΔH_f (0 K): 89 meV per atom
# volume: 17.484 A^3/atom
# ρ: 4.17 Mg/m³

----------

# 1
This record from Alexandria describes crystalline Er2ScPt9 at its relaxed geometry. The functional is PBE.

Unit cell a=4.071 b=4.071 c=12.204 alpha=90.00 beta=90.00 gamma=90.00
Positions (direct):
Er (0.000, 0.000, 0.169)
Er (0.000, 0.000, 0.831)
Sc (0.000, 0.000, 0.500)
Pt (0.000, 0.500, 0.000)
Pt (0.000, 0.500, 0.340)
Pt (0.000, 0.500, 0.660)
Pt (0.500, 0.000, 0.000)
Pt (0.500, 0.000, 0.340)